Job =
What is needed: give back the whole of the listing further below with every line break kept.

File =
ORCA calculation (ωB97M-V/def2-TZVPD) on an isolated molecule of C9H15FO2Si2.

Its SMILES is C[Si](C)(C)O[Si@](O)(F)c1ccccc1. The relative energy (zero: lowest compared OMol25 entry of this formula, charge and spin) comes out at 24.7 kcal/mol. The highest occupied orbital energy is -9.597 eV.

```
! RIJCOSX wB97M-V def2-TZVPD def2/J DEFGRID3
* xyz 0 1
C -1.311 -0.438 -1.903
Si -1.838 -0.219 -0.067
C -2.188 1.671 0.311
C -3.046 -1.523 0.582
O -0.459 -0.509 0.894
Si 0.948 -1.268 0.969
O 0.767 -2.925 -0.309
F 1.144 -1.769 2.488
C 2.446 -0.484 0.250
C 3.770 -0.843 0.543
C 4.840 -0.301 -0.136
C 4.614 0.517 -1.247
C 3.338 1.091 -1.359
C 2.245 0.556 -0.669
H -0.253 -0.555 -1.785
H -1.656 -1.352 -2.379
H -1.616 0.425 -2.443
H -2.726 1.533 1.316
H -1.136 2.067 0.426
H -2.683 2.346 -0.347
H -2.429 -2.061 1.407
H -3.886 -1.137 1.062
H -3.449 -2.314 -0.148
H 0.586 -3.822 0.114
H 3.980 -1.777 1.186
H 5.821 -0.596 0.180
H 5.423 1.149 -1.619
H 3.058 1.979 -1.939
H 1.269 0.919 -0.964
*
```

----------

No. 1
DFT (ωB97M-V/def2-TZVPD) results for a structure of composition C34H20N5O6Tm in a non-equilibrium geometry.

Computed properties:
HOMO energy = -7.0839 eV
Largest force on an atom = 0.026 Eh/bohr
Energy = -84848.8032 eV
Charge = 0
Expectation value of S² = 2.002
Relative energy (zero: lowest compared OMol25 entry of this formula, charge and spin) = 0.00 kcal/mol
Spin multiplicity = 3
LUMO level = -2.46 eV
Kohn-Sham gap = 4.628 eV

XYZ file:
```
66
Properties=species:S:1:pos:R:3:forces:R:3
Tm -0.251 -0.257 -0.530 0.9 -0.3 0.9
C 2.795 -3.873 -1.149 0.0 -0.1 0.0
C 3.239 -4.097 0.144 0.0 0.0 0.0
C 2.788 -3.278 1.161 0.0 0.0 0.1
C 1.900 -2.231 0.893 0.1 0.1 -0.4
C 1.427 -1.963 -0.421 0.3 -0.3 0.0
C 1.912 -2.833 -1.405 0.0 0.2 0.0
C 1.384 -1.417 2.014 -0.2 0.1 0.0
C 1.970 -1.430 3.308 0.0 0.0 0.2
C 1.395 -0.741 4.331 0.0 -0.1 -0.1
C 0.178 -0.049 4.125 0.0 0.1 -0.3
C -0.526 0.624 5.144 0.0 0.0 0.1
C -1.730 1.218 4.880 0.0 0.0 0.1
C -2.291 1.140 3.592 0.0 0.0 -0.1
C -1.619 0.511 2.579 0.1 0.0 -0.1
C -0.348 -0.063 2.815 -0.1 0.0 0.3
N 0.299 -0.684 1.785 0.1 0.0 -0.2
H 3.124 -4.521 -1.953 0.0 0.0 0.0
H 3.920 -4.909 0.361 0.0 0.0 0.0
H 3.108 -3.496 2.172 0.0 0.0 0.0
H 1.583 -2.712 -2.435 0.0 -0.1 0.0
H 2.885 -1.974 3.479 0.0 0.0 0.0
H 1.842 -0.746 5.317 0.0 0.0 0.0
H -0.113 0.639 6.145 0.0 0.0 0.0
H -2.272 1.722 5.669 0.0 0.0 0.0
H -3.271 1.563 3.410 0.0 0.0 0.0
H -2.075 0.395 1.599 -0.1 0.1 0.0
O -6.225 -4.494 -0.331 -0.1 -0.1 0.1
C -5.247 -4.811 0.357 0.7 0.4 -0.2
O -5.002 -5.749 1.130 -0.2 0.0 0.0
C -4.020 -3.809 0.198 -0.6 -0.5 0.2
C -2.823 -4.066 0.852 0.1 0.2 -0.1
C -1.776 -3.177 0.712 0.2 0.0 0.1
N -1.869 -2.062 -0.020 0.1 0.7 -0.4
C -3.031 -1.818 -0.660 -0.1 0.0 -0.1
C -4.121 -2.666 -0.583 0.3 0.2 -0.1
C -3.089 -0.539 -1.492 -0.9 -0.9 0.0
O -4.016 -0.335 -2.237 0.3 0.2 0.1
O -2.062 0.253 -1.304 -0.4 0.5 -0.5
H -2.737 -4.958 1.457 -0.1 0.0 0.0
H -0.821 -3.350 1.199 0.0 0.0 0.0
H -5.032 -2.439 -1.117 0.0 -0.1 0.0
O 1.544 7.078 -2.040 -0.2 -0.2 0.2
N 2.038 6.261 -2.793 0.2 0.8 -0.2
O 2.770 6.565 -3.712 0.0 -0.1 0.1
C 1.731 4.839 -2.622 0.0 -1.0 -0.3
C 2.147 4.039 -3.636 0.0 0.7 0.2
C 1.887 2.651 -3.638 -0.2 -0.6 0.1
C 2.258 1.825 -4.718 0.0 0.1 0.1
C 1.918 0.502 -4.693 0.0 0.0 -0.1
C 1.221 0.013 -3.586 -0.1 0.0 0.2
N 0.897 0.753 -2.540 -0.1 -0.3 0.1
C 1.218 2.062 -2.553 0.1 0.2 -0.2
C 0.839 2.885 -1.427 0.1 0.3 -0.1
N 0.287 2.258 -0.360 0.0 0.0 0.0
C -0.111 2.996 0.661 0.1 -0.3 0.0
C -0.002 4.381 0.689 0.1 0.2 -0.1
C 0.584 5.030 -0.365 0.0 -0.1 0.0
C 1.048 4.286 -1.471 -0.1 0.0 0.2
H 2.665 4.490 -4.470 0.0 0.0 0.0
H 2.796 2.254 -5.554 0.0 0.0 0.0
H 2.170 -0.161 -5.507 0.0 0.0 0.0
H 0.909 -1.024 -3.554 0.1 0.0 0.0
H -0.526 2.472 1.509 -0.1 -0.1 0.1
H -0.366 4.932 1.544 0.0 0.0 0.0
H 0.696 6.097 -0.355 0.0 0.1 0.0
```
Forces are in eV/Å.


No. 2
DFT (ωB97M-V/def2-TZVPD) results for a structure of composition C34H22Cl2F10FeN5O2 in a non-equilibrium geometry.

Computed properties:
HOMO energy (spin up / spin down) = -1.9026 / -1.9038 eV

Written answer =
ORCA calculation (ωB97M-V/def2-TZVPD) on an isolated molecule of C9H15FO2Si2.

Its SMILES is C[Si](C)(C)O[Si@](O)(F)c1ccccc1. The relative energy (zero: lowest compared OMol25 entry of this formula, charge and spin) comes out at 24.7 kcal/mol. The highest occupied orbital energy is -9.597 eV.

```
! RIJCOSX wB97M-V def2-TZVPD def2/J DEFGRID3
* xyz 0 1
C -1.311 -0.438 -1.903
Si -1.838 -0.219 -0.067
C -2.188 1.671 0.311
C -3.046 -1.523 0.582
O -0.459 -0.509 0.894
Si 0.948 -1.268 0.969
O 0.767 -2.925 -0.309
F 1.144 -1.769 2.488
C 2.446 -0.484 0.250
C 3.770 -0.843 0.543
C 4.840 -0.301 -0.136
C 4.614 0.517 -1.247
C 3.338 1.091 -1.359
C 2.245 0.556 -0.669
H -0.253 -0.555 -1.785
H -1.656 -1.352 -2.379
H -1.616 0.425 -2.443
H -2.726 1.533 1.316
H -1.136 2.067 0.426
H -2.683 2.346 -0.347
H -2.429 -2.061 1.407
H -3.886 -1.137 1.062
H -3.449 -2.314 -0.148
H 0.586 -3.822 0.114
H 3.980 -1.777 1.186
H 5.821 -0.596 0.180
H 5.423 1.149 -1.619
H 3.058 1.979 -1.939
H 1.269 0.919 -0.964
*
```

----------

No. 1
DFT (ωB97M-V/def2-TZVPD) results for a structure of composition C34H20N5O6Tm in a non-equilibrium geometry.

Computed properties:
HOMO energy = -7.0839 eV
Largest force on an atom = 0.026 Eh/bohr
Energy = -84848.8032 eV
Charge = 0
Expectation value of S² = 2.002
Relative energy (zero: lowest compared OMol25 entry of this formula, charge and spin) = 0.00 kcal/mol
Spin multiplicity = 3
LUMO level = -2.46 eV
Kohn-Sham gap = 4.628 eV

XYZ file:
```
66
Properties=species:S:1:pos:R:3:forces:R:3
Tm -0.251 -0.257 -0.530 0.9 -0.3 0.9
C 2.795 -3.873 -1.149 0.0 -0.1 0.0
C 3.239 -4.097 0.144 0.0 0.0 0.0
C 2.788 -3.278 1.161 0.0 0.0 0.1
C 1.900 -2.231 0.893 0.1 0.1 -0.4
C 1.427 -1.963 -0.421 0.3 -0.3 0.0
C 1.912 -2.833 -1.405 0.0 0.2 0.0
C 1.384 -1.417 2.014 -0.2 0.1 0.0
C 1.970 -1.430 3.308 0.0 0.0 0.2
C 1.395 -0.741 4.331 0.0 -0.1 -0.1
C 0.178 -0.049 4.125 0.0 0.1 -0.3
C -0.526 0.624 5.144 0.0 0.0 0.1
C -1.730 1.218 4.880 0.0 0.0 0.1
C -2.291 1.140 3.592 0.0 0.0 -0.1
C -1.619 0.511 2.579 0.1 0.0 -0.1
C -0.348 -0.063 2.815 -0.1 0.0 0.3
N 0.299 -0.684 1.785 0.1 0.0 -0.2
H 3.124 -4.521 -1.953 0.0 0.0 0.0
H 3.920 -4.909 0.361 0.0 0.0 0.0
H 3.108 -3.496 2.172 0.0 0.0 0.0
H 1.583 -2.712 -2.435 0.0 -0.1 0.0
H 2.885 -1.974 3.479 0.0 0.0 0.0
H 1.842 -0.746 5.317 0.0 0.0 0.0
H -0.113 0.639 6.145 0.0 0.0 0.0
H -2.272 1.722 5.669 0.0 0.0 0.0
H -3.271 1.563 3.410 0.0 0.0 0.0
H -2.075 0.395 1.599 -0.1 0.1 0.0
O -6.225 -4.494 -0.331 -0.1 -0.1 0.1
C -5.247 -4.811 0.357 0.7 0.4 -0.2
O -5.002 -5.749 1.130 -0.2 0.0 0.0
C -4.020 -3.809 0.198 -0.6 -0.5 0.2
C -2.823 -4.066 0.852 0.1 0.2 -0.1
C -1.776 -3.177 0.712 0.2 0.0 0.1
N -1.869 -2.062 -0.020 0.1 0.7 -0.4
C -3.031 -1.818 -0.660 -0.1 0.0 -0.1
C -4.121 -2.666 -0.583 0.3 0.2 -0.1
C -3.089 -0.539 -1.492 -0.9 -0.9 0.0
O -4.016 -0.335 -2.237 0.3 0.2 0.1
O -2.062 0.253 -1.304 -0.4 0.5 -0.5
H -2.737 -4.958 1.457 -0.1 0.0 0.0
H -0.821 -3.350 1.199 0.0 0.0 0.0
H -5.032 -2.439 -1.117 0.0 -0.1 0.0
O 1.544 7.078 -2.040 -0.2 -0.2 0.2
N 2.038 6.261 -2.793 0.2 0.8 -0.2
O 2.770 6.565 -3.712 0.0 -0.1 0.1
C 1.731 4.839 -2.622 0.0 -1.0 -0.3
C 2.147 4.039 -3.636 0.0 0.7 0.2
C 1.887 2.651 -3.638 -0.2 -0.6 0.1
C 2.258 1.825 -4.718 0.0 0.1 0.1
C 1.918 0.502 -4.693 0.0 0.0 -0.1
C 1.221 0.013 -3.586 -0.1 0.0 0.2
N 0.897 0.753 -2.540 -0.1 -0.3 0.1
C 1.218 2.062 -2.553 0.1 0.2 -0.2
C 0.839 2.885 -1.427 0.1 0.3 -0.1
N 0.287 2.258 -0.360 0.0 0.0 0.0
C -0.111 2.996 0.661 0.1 -0.3 0.0
C -0.002 4.381 0.689 0.1 0.2 -0.1
C 0.584 5.030 -0.365 0.0 -0.1 0.0
C 1.048 4.286 -1.471 -0.1 0.0 0.2
H 2.665 4.490 -4.470 0.0 0.0 0.0
H 2.796 2.254 -5.554 0.0 0.0 0.0
H 2.170 -0.161 -5.507 0.0 0.0 0.0
H 0.909 -1.024 -3.554 0.1 0.0 0.0
H -0.526 2.472 1.509 -0.1 -0.1 0.1
H -0.366 4.932 1.544 0.0 0.0 0.0
H 0.696 6.097 -0.355 0.0 0.1 0.0
```
Forces are in eV/Å.


No. 2
DFT (ωB97M-V/def2-TZVPD) results for a structure of composition C34H22Cl2F10FeN5O2 in a non-equilibrium geometry.

Computed properties:
HOMO energy (spin up / spin down) = -1.9026 / -1.9038 eV